My macOS workflows

The following is a list of workflows I use on macOS to boost my productivity.


Here are some tips for getting the most out of macOS itself.

Useful hotkeys


A shortcut for accessing emojis is ⌘ + ⌃ + space. This will bring the focus to the search bar, so you can easily search for the emoji you’re wanting to use.


Hotkey Function
⌘ + ⇧ + D Open Desktop folder
⌘ + ⇧ + H Open home folder
⌥ + ⌘ + L Open Downloads folder
⇧ + ⌘ + R Open AirDrop window
⇧ + ⌘ + U Open Utilities folder
⌘ + ⇧ + ⌫ Empty the trash


Mac keyboard shortcuts

Toggle Do Not Disturb

⌥ + clicking on the upper right-hand corner of the screen toggles Do Not Disturb mode.

Disable Caps Lock

Caps Lock is annoying. You should disable it. To do this, go to Preferences -> Keyboard -> Modifier Keys, and set “Caps Lock” to “No Action.”


Alfred is an excellent app switcher, clipboard manager, and all-around Swiss Army Knife for macOS. I recommend picking up the Powerpack. It’s abous $22 as of the time of this writing and opens up tons of functionality.


Alfred has a built-in calculator. Just enter in the operation and it will display the result. Hit return to copy the result to your clipboard.

Launching URLs

I add URLs to Alfred for dashboards and things at work that I access frequently. That way I can launch them directly in the event that my browser isn’t open or is hidden.


Alfred snippets are basically stored text clips that you can search and add to your clipboard for pasting. There’s also text expansion functionality that you can make use of. I have snippets set up for things that I type frequently, like the CDN path to this website. Another use case would be for your address or phone number. There are also some useful bundles of snippets that you can download here and add to Alfred. Here are a few of the ones I use:


Alfred has a feature called Workflows. These are essentially plugins that extend Alfred to be able to interact with other apps and services.

I use these workflows:

There are several other ones that look useful, including flows for Spotify and LastPass.

iTerm 2

iTerm 2 is a more full-featured upgrade from macOS’s built-in Terminal app.

Global hotkey

Register a global hotkey to bring iTerm 2 to the front of your screen with a keypress.

• Unrelated to this article: crystal structures:
No. 1
# TbCeSiAg PBE relaxed
# Uncorrected formation energy (eV/atom): -0.3486
# V (Å³ per cell): 381.22
data_TbCeSiAg
_chemical_formula_sum 'Tb4 Ce4 Si4 Ag4'
_cell_length_a 7.251
_cell_length_b 7.251
_cell_length_c 7.251
_cell_angle_alpha 90.00
_cell_angle_beta 90.00
_cell_angle_gamma 90.00
_symmetry_space_group_name_H-M 'F -4 3 m'
_symmetry_Int_Tables_number 216
_symmetry_space_group_name_Hall 'F -4 2 3'
loop_
_atom_site_label
_atom_site_type_symbol
_atom_site_fract_x
_atom_site_fract_y
_atom_site_fract_z
Tb1 Tb 0.000 0.000 0.000
Ce1 Ce 0.000 0.000 0.500
Si1 Si 0.250 0.250 0.250
Ag1 Ag 0.250 0.250 0.750



No. 2
# CeYSiAg PBE relaxed
# Uncorrected formation energy (eV/atom): -0.3596
# V (Å³ per cell): 380.21
data_CeYSiAg
_chemical_formula_sum 'Ce4 Y4 Si4 Ag4'
_cell_length_a 7.245
_cell_length_b 7.245
_cell_length_c 7.245
_cell_angle_alpha 90.00
_cell_angle_beta 90.00
_cell_angle_gamma 90.00
_symmetry_space_group_name_H-M 'F -4 3 m'
_symmetry_Int_Tables_number 216
_symmetry_space_group_name_Hall 'F -4 2 3'
loop_
_atom_site_label
_atom_site_type_symbol
_atom_site_fract_x
_atom_site_fract_y
_atom_site_fract_z
Ce1 Ce 0.000 0.000 0.000
Y1 Y 0.000 0.000 0.500
Si1 Si 0.250 0.250 0.250
Ag1 Ag 0.250 0.250 0.750



No. 3
# CeSmAg PBE relaxed
# V (Å³ per cell): 78.40
# Energy above the lowest structure with this stoichiometry (meV per atom): 148.5
data_CeSmAg
_chemical_formula_sum 'Ce1 Sm1 Ag1'
_cell_length_a 5.1034
_cell_length_b 5.1034
_cell_length_c 3.4761
_cell_angle_alpha 90.00
_cell_angle_beta 90.00
_cell_angle_gamma 120.00
_symmetry_space_group_name_H-M 'P 3 m 1'
_symmetry_Int_Tables_number 156
loop_
_symmetry_equiv_pos_as_xyz
'x,y,z'
'-y,x-y,z'
'-x+y,-x,z'
'-y,-x,z'
'-x+y,y,z'
'x,x-y,z'
loop_
_atom_site_label
_atom_site_type_symbol
_atom_site_fract_x
_atom_site_fract_y
_atom_site_fract_z
Ce1 Ce 0.0000 0.0000 0.0000
Sm1 Sm 0.6667 0.3333 0.3663
Ag1 Ag 0.3333 0.6667 0.6761



No. 4
# CeSmAg PBE relaxed
# V (Å³ per cell): 323.36
# Energy above the lowest structure with this stoichiometry (meV per atom): 0.0
data_CeSmAg
_chemical_formula_sum 'Ce4 Sm4 Ag4'
_cell_length_a 3.513
_cell_length_b 17.009
_cell_length_c 5.412
_cell_angle_alpha 90.00
_cell_angle_beta 90.00
_cell_angle_gamma 90.00
_symmetry_space_group_name_H-M 'C m c m'
_symmetry_Int_Tables_number 63
_symmetry_space_group_name_Hall '-C 2c 2'
loop_
_atom_site_label
_atom_site_type_symbol
_atom_site_fract_x
_atom_site_fract_y
_atom_site_fract_z
Ce1 Ce 0.000 0.235 0.250
Sm1 Sm 0.000 0.079 0.750
Ag1 Ag 0.000 0.420 0.750



No. 5
# CeSm3Ag2 PBE relaxed
# V (Å³ per cell): 164.25
data_CeSm3Ag2
_chemical_formula_sum 'Ce1 Sm3 Ag2'
_cell_length_a 3.670
_cell_length_b 3.670
_cell_length_c 12.197
_cell_angle_alpha 90.00
_cell_angle_beta 90.00
_cell_angle_gamma 90.00
_symmetry_space_group_name_H-M 'P 4/m m m'
_symmetry_Int_Tables_number 123
_symmetry_space_group_name_Hall '-P 4 2'
loop_
_atom_site_label
_atom_site_type_symbol
_atom_site_fract_x
_atom_site_fract_y
_atom_site_fract_z
Ce1 Ce 0.000 0.000 0.000

Jumping between words

In addition to the standard bash commands, alt + B and alt + f, you can configure iTerm to jump between words using alt + ← and alt + → using a Profile. This is a good guide on how to do that.


I switched to ZSH about a year ago and am a huge fan. It’s got tons of useful plugins, aliases for frequently-used git commands, etc. Get it at


It’s like the cat command, but for images.

Install the script by running

curl > ~/bin/imgcat
chmod +x ~/bin/imgcat

And then make sure ~/bin is in your $PATH.

